Next, duplicate all of the material below with every line break kept.
- - -
Entry 1:
Material: La8Se4S3N
Method: DFT, PBE
State: optimized geometry

The space group is R-3m (No. 166, hexagonal axes) and the conventional cell measures 8.3394, 8.3394 and 20.7925 Å, with angles of 90.00, 90.00 and 120.00 degrees. The asymmetric unit holds La at (0.0000, 0.0000, 0.2444), La at (0.0240, 0.5120, 0.2393), Se at (0.0000, 0.0000, 0.0000), Se at (0.0000, 0.5000, 0.0000), S at (0.0000, 0.5000, 0.5000) and N at (0.0000, 0.0000, 0.5000).

The crystal system is trigonal. The raw formation energy is -1966 meV per atom. As for the spin magnetization: 0.000 μB per cell.

Entry 2:
Material: LaSiSN2
Method: DFT, PBE
State: optimized geometry

The space group is P4/mmm (No. 123) and the conventional cell measures 4.162, 4.162 and 6.009 Å, with angles of 90.00, 90.00 and 90.00 degrees. The asymmetric unit holds La at (0.000, 0.000, 0.000), Si at (0.500, 0.500, 0.500), S at (0.000, 0.000, 0.500) and N at (0.000, 0.500, 0.000).

The crystal system is tetragonal. The calculation puts the energy above the lowest structure with this stoichiometry at 1504.4 meV per atom. The raw formation energy is 949 meV per atom. As for the spin magnetization: 0.000 μB per cell.

* * * * *

DFT (PBE) results for a relaxed structure of Sc5TlIn4.

Electronic total energy: -4.896 eV per atom

```
data_Sc5TlIn4
_chemical_formula_sum 'Sc5 Tl1 In4'
_symmetry_space_group_name_H-M 'P 4/m m m'
_symmetry_Int_Tables_number 123
_symmetry_space_group_name_Hall '-P 4 2'
_cell_length_a 3.217
_cell_length_b 3.217
_cell_length_c 21.883
_cell_angle_alpha 90.00
_cell_angle_beta 90.00
_cell_angle_gamma 90.00
loop_
_atom_site_label
_atom_site_fract_x
_atom_site_fract_y
_atom_site_fract_z
Sc1 0.000 0.000 0.000
Sc2 0.000 0.000 0.199
Sc3 0.000 0.000 0.397
Tl1 0.500 0.500 0.500
In1 0.500 0.500 0.099
In2 0.500 0.500 0.299
```



DFT (PBE) results for a relaxed structure of ScTlIn2.

Electronic total energy: -3.551 eV per atom

```
data_ScTlIn2
_chemical_formula_sum 'Sc2 Tl2 In4'
_symmetry_space_group_name_H-M 'C m m 2'
_symmetry_Int_Tables_number 35
_cell_length_a 3.640
_cell_length_b 5.591
_cell_length_c 10.251
_cell_angle_alpha 90.00
_cell_angle_beta 90.00
_cell_angle_gamma 90.00
loop_
_symmetry_equiv_pos_as_xyz
'x,y,z'
'-x,-y,z'
'-x,y,z'
'x,-y,z'
'x+1/2,y+1/2,z'
'-x+1/2,-y+1/2,z'
'-x+1/2,y+1/2,z'
'x+1/2,-y+1/2,z'
loop_
_atom_site_label
_atom_site_fract_x
_atom_site_fract_y
_atom_site_fract_z
Sc1 0.000 0.000 0.000
Tl1 0.000 0.500 0.243
In1 0.000 0.000 0.508
In2 0.000 0.500 0.764
```



DFT (PBE) results for a relaxed structure of Sc4TlIn.

Energy above the most stable polymorph in this dataset: 0 meV per atom

```
data_Sc4TlIn
_chemical_formula_sum 'Sc4 Tl1 In1'
_symmetry_space_group_name_H-M 'P m m m'
_symmetry_Int_Tables_number 47
_cell_length_a 3.303
_cell_length_b 5.248
_cell_length_c 8.631
_cell_angle_alpha 90.00
_cell_angle_beta 90.00
_cell_angle_gamma 90.00
loop_
_symmetry_equiv_pos_as_xyz
'x,y,z'
'-x,-y,-z'
'-x,-y,z'
'x,y,-z'
'x,-y,-z'
'-x,y,z'
'-x,y,-z'
'x,-y,z'
loop_
_atom_site_label
_atom_site_fract_x
_atom_site_fract_y
_atom_site_fract_z
Sc1 0.000 0.000 0.193
Sc2 0.500 0.500 0.304
Tl1 0.500 0.000 0.500
In1 0.000 0.500 0.000
```



DFT (PBE) results for a relaxed structure of Sc2TlIn.

Energy above the most stable polymorph in this dataset: 1 meV per atom

```
data_Sc2TlIn
_chemical_formula_sum 'Sc4 Tl2 In2'
_symmetry_space_group_name_H-M 'I 4/m m m'
_symmetry_Int_Tables_number 139
_symmetry_space_group_name_Hall '-I 4 2'
_cell_length_a 4.630
_cell_length_b 4.630
_cell_length_c 8.562
_cell_angle_alpha 90.00
_cell_angle_beta 90.00
_cell_angle_gamma 90.00
loop_
_atom_site_label
_atom_site_fract_x
_atom_site_fract_y
_atom_site_fract_z
Sc1 0.000 0.500 0.250
Tl1 0.000 0.000 0.000
In1 0.000 0.000 0.500
```



Record order is preserved below.
Total magnetization: 1.253 0.007 1.338 0.686 μB/f.u.

* * * * *

Record 1
- - -
Entry 1:
Material: La8Se4S3N
Method: DFT, PBE
State: optimized geometry

The space group is R-3m (No. 166, hexagonal axes) and the conventional cell measures 8.3394, 8.3394 and 20.7925 Å, with angles of 90.00, 90.00 and 120.00 degrees. The asymmetric unit holds La at (0.0000, 0.0000, 0.2444), La at (0.0240, 0.5120, 0.2393), Se at (0.0000, 0.0000, 0.0000), Se at (0.0000, 0.5000, 0.0000), S at (0.0000, 0.5000, 0.5000) and N at (0.0000, 0.0000, 0.5000).

The crystal system is trigonal. The raw formation energy is -1966 meV per atom. As for the spin magnetization: 0.000 μB per cell.

Entry 2:
Material: LaSiSN2
Method: DFT, PBE
State: optimized geometry

The space group is P4/mmm (No. 123) and the conventional cell measures 4.162, 4.162 and 6.009 Å, with angles of 90.00, 90.00 and 90.00 degrees. The asymmetric unit holds La at (0.000, 0.000, 0.000), Si at (0.500, 0.500, 0.500), S at (0.000, 0.000, 0.500) and N at (0.000, 0.500, 0.000).

The crystal system is tetragonal. The calculation puts the energy above the lowest structure with this stoichiometry at 1504.4 meV per atom. The raw formation energy is 949 meV per atom. As for the spin magnetization: 0.000 μB per cell.

* * * * *

DFT (PBE) results for a relaxed structure of Sc5TlIn4.

Electronic total energy: -4.896 eV per atom

```
data_Sc5TlIn4
_chemical_formula_sum 'Sc5 Tl1 In4'
_symmetry_space_group_name_H-M 'P 4/m m m'
_symmetry_Int_Tables_number 123
_symmetry_space_group_name_Hall '-P 4 2'
_cell_length_a 3.217
_cell_length_b 3.217
_cell_length_c 21.883
_cell_angle_alpha 90.00
_cell_angle_beta 90.00
_cell_angle_gamma 90.00
loop_
_atom_site_label
_atom_site_fract_x
_atom_site_fract_y
_atom_site_fract_z
Sc1 0.000 0.000 0.000
Sc2 0.000 0.000 0.199
Sc3 0.000 0.000 0.397
Tl1 0.500 0.500 0.500
In1 0.500 0.500 0.099
In2 0.500 0.500 0.299
```



DFT (PBE) results for a relaxed structure of ScTlIn2.

Electronic total energy: -3.551 eV per atom

```
data_ScTlIn2
_chemical_formula_sum 'Sc2 Tl2 In4'
_symmetry_space_group_name_H-M 'C m m 2'
_symmetry_Int_Tables_number 35
_cell_length_a 3.640
_cell_length_b 5.591
_cell_length_c 10.251
_cell_angle_alpha 90.00
_cell_angle_beta 90.00
_cell_angle_gamma 90.00
loop_
_symmetry_equiv_pos_as_xyz
'x,y,z'
'-x,-y,z'
'-x,y,z'
'x,-y,z'
'x+1/2,y+1/2,z'
'-x+1/2,-y+1/2,z'
'-x+1/2,y+1/2,z'
'x+1/2,-y+1/2,z'
loop_
_atom_site_label
_atom_site_fract_x
_atom_site_fract_y
_atom_site_fract_z
Sc1 0.000 0.000 0.000
Tl1 0.000 0.500 0.243
In1 0.000 0.000 0.508
In2 0.000 0.500 0.764
```



DFT (PBE) results for a relaxed structure of Sc4TlIn.

Energy above the most stable polymorph in this dataset: 0 meV per atom

```
data_Sc4TlIn
_chemical_formula_sum 'Sc4 Tl1 In1'
_symmetry_space_group_name_H-M 'P m m m'
_symmetry_Int_Tables_number 47
_cell_length_a 3.303
_cell_length_b 5.248
_cell_length_c 8.631
_cell_angle_alpha 90.00
_cell_angle_beta 90.00
_cell_angle_gamma 90.00
loop_
_symmetry_equiv_pos_as_xyz
'x,y,z'
'-x,-y,-z'
'-x,-y,z'
'x,y,-z'
'x,-y,-z'
'-x,y,z'
'-x,y,-z'
'x,-y,z'
loop_
_atom_site_label
_atom_site_fract_x
_atom_site_fract_y
_atom_site_fract_z
Sc1 0.000 0.000 0.193
Sc2 0.500 0.500 0.304
Tl1 0.500 0.000 0.500
In1 0.000 0.500 0.000
```



DFT (PBE) results for a relaxed structure of Sc2TlIn.

Energy above the most stable polymorph in this dataset: 1 meV per atom

```
data_Sc2TlIn
_chemical_formula_sum 'Sc4 Tl2 In2'
_symmetry_space_group_name_H-M 'I 4/m m m'
_symmetry_Int_Tables_number 139
_symmetry_space_group_name_Hall '-I 4 2'
_cell_length_a 4.630
_cell_length_b 4.630
_cell_length_c 8.562
_cell_angle_alpha 90.00
_cell_angle_beta 90.00
_cell_angle_gamma 90.00
loop_
_atom_site_label
_atom_site_fract_x
_atom_site_fract_y
_atom_site_fract_z
Sc1 0.000 0.500 0.250
Tl1 0.000 0.000 0.000
In1 0.000 0.000 0.500
```



Record order is preserved below.
Total magnetization: 1.253 0.007 1.338 0.686 μB/f.u.

* * * * *

Record 1